Exercise >
It remains to start at the top of the material further down and type out each line, ending with the one that has "2.201".

Excerpt >
=====
Molecular formula: C45H69Cl15N4O18
Method: DFT, ωB97M-V/def2-TZVPD

Each line ends with the Mulliken charge.
CARTESIAN COORDINATES (ANGSTROEM)
Cl 0.826 -5.729 4.051  -0.14
Cl 2.861 2.624 6.207  -0.15
Cl 0.752 2.896 4.286  -0.03
Cl 4.957 -2.068 0.896  0.01
Cl 2.577 -3.635 0.379  -0.04
Cl -0.741 0.320 2.166  0.40
Cl 0.411 -0.252 -0.506  1.01
Cl 4.733 -4.800 1.932  -0.14
Cl -2.070 -6.129 3.363  -0.16
Cl 4.165 -3.744 5.080  -0.09
Cl 3.068 -2.053 7.011  -0.12
Cl -0.096 -6.451 1.375  -0.13
Cl 3.523 2.807 3.382  -0.09
Cl 2.104 0.147 1.813  0.36
Cl 4.434 -0.850 4.604  -0.01
O -1.254 -3.961 -4.346  -0.42
O -3.080 2.902 -0.745  -0.43
O -0.684 -2.918 4.317  -0.16
O -0.904 -2.012 -3.433  0.40
O -7.469 3.970 -4.770  -0.50
O 3.580 -1.290 -5.730  -0.57
O 0.051 3.145 0.793  0.79
O 0.712 -1.350 4.974  0.08
O -5.639 3.572 -5.971  -0.39
O -0.140 5.151 1.644  -0.42
O -1.519 2.673 -2.364  -0.68
O -2.072 -2.107 -5.331  -0.61
O -1.656 3.581 2.201  -0.55
O 3.490 -1.965 -3.561  -0.34
O -5.942 2.485 -4.086  -0.44
O 4.603 -0.154 -4.155  -0.41
O 1.341 -2.780 3.346  0.33
O -2.427 0.877 -1.331  0.59
N -1.375 1.954 -6.765  -0.62
N 5.023 2.873 0.599  -0.42
N -4.367 -0.442 2.668  -0.34
N -1.769 -3.404 1.065  -0.21
C 1.995 3.218 -5.398  -1.18
C -4.628 2.273 4.835  -0.77
C -4.636 2.550 -6.031  -0.22
C -0.496 -5.573 2.829  1.73
C 5.876 2.453 1.217  0.20
C -6.488 3.385 -4.925  0.54
C -1.486 -2.059 5.231  -0.06
C -3.733 2.006 0.206  2.31
C 4.399 -2.145 5.823  -0.37
C -2.275 2.200 -1.547  0.09
C 1.903 1.693 -5.377  0.02
C 7.055 1.869 1.912  -0.23
C 1.141 5.170 1.017  -0.59
C 7.839 0.561 -0.061  -0.61
C -3.222 2.787 4.879  -0.67
C 4.180 -1.538 -2.346  0.21
C -5.154 2.390 0.365  -1.81
C -4.467 0.544 -4.391  -1.32
C 8.209 1.669 0.995  -0.62
C -0.524 -4.267 -3.142  1.12
C 1.168 3.814 0.221  0.90
C -4.259 -3.097 0.247  -0.47
C -1.450 -2.638 -4.439  0.28
C 4.554 0.942 -2.056  -1.59
C 3.854 -1.158 -4.574  0.57
C -2.886 -3.227 0.806  0.17
C -0.646 3.944 1.615  -0.28
C -0.364 -1.256 5.956  0.14
C 0.478 -0.473 1.256  -1.57
C 0.471 -5.366 -3.425  -1.59
C -4.598 2.057 -4.566  1.05
C 0.532 1.106 -5.094  1.29
C 3.840 -3.299 1.514  0.98
C -3.468 0.656 -0.389  -0.27
C -4.472 0.088 3.678  0.10
C 4.890 -0.266 -2.798  1.15
C 2.328 2.288 4.565  0.88
C -3.893 -5.295 -0.928  -1.37
C -0.570 0.176 6.188  -0.83
C -0.538 1.556 -6.069  -0.08
C -4.302 -3.830 -1.117  0.00
C -0.053 -2.865 -2.748  -0.04
C 0.833 4.046 -1.269  -1.37
C -4.696 0.736 4.945  -0.21
C 0.571 -2.436 4.154  -0.30
H -5.642 2.402 -0.631  0.34
H 8.676 0.210 -0.674  0.42
H -3.806 0.389 5.543  -0.05
H 3.060 3.516 -5.428  0.43
H -5.246 3.365 0.833  0.41
H 5.962 -0.423 -2.664  0.12
H 6.962 0.812 -0.674  -0.03
H 0.122 1.302 -4.116  -0.41
H -2.883 -5.423 -0.553  0.27
H -3.651 2.982 -6.334  0.25
H 1.313 -4.947 -3.986  0.41
H -5.592 0.415 5.396  0.54
H -3.025 3.865 4.637  0.36
H -4.877 -3.638 0.925  0.46
H 7.290 2.644 2.682  0.34
H -3.095 -0.038 0.386  -0.19
H -5.269 2.766 5.540  0.43
H 2.048 3.178 0.324  0.04
H -1.322 -4.698 -2.490  -0.29
H 2.350 1.216 4.486  -0.75
H -3.155 2.081 1.146  -0.75
H -4.303 0.191 -0.879  0.14
H -0.700 0.666 5.228  -0.24
H 3.524 1.170 -1.996  0.40
H -3.992 -5.942 -1.821  0.38
H 0.549 0.022 -5.296  0.01
H 6.762 0.951 2.460  0.21
H -1.445 0.342 6.861  0.39
H -0.614 -4.551 2.510  -1.40
H 4.945 0.891 -1.038  -0.01
H -5.155 2.417 3.896  0.32
H -2.128 -1.411 4.624  -0.19
H 7.435 -0.290 0.501  0.16
H -3.757 2.610 -4.084  -0.16
H 0.963 -2.642 -3.038  -0.31
H -3.663 -3.324 -1.894  -0.08
H -0.129 -2.657 -1.699  0.08
H 2.685 1.324 -4.710  -0.36
H 1.761 4.475 -1.662  0.62
H 0.423 -1.555 1.444  -0.13
H 0.706 -5.848 -2.465  0.31
H 8.439 2.686 0.572  0.31
H 1.930 5.249 1.802  0.21
H 1.282 6.010 0.369  0.39
H -5.173 0.035 -5.063  0.50
H 1.674 3.505 -4.384  0.06
H 5.359 -2.083 6.261  0.49
H 5.093 1.780 -2.450  0.62
H -0.059 -6.095 -3.994  0.41
H -2.820 2.492 5.818  0.36
H -4.545 -5.830 -0.262  0.41
H -5.642 1.685 1.025  0.35
H 2.254 1.330 -6.339  0.49
H 0.639 3.064 -1.712  0.03
H 0.078 -1.764 6.841  0.32
=====

Completed >
Molecular formula: C45H69Cl15N4O18
Method: DFT, ωB97M-V/def2-TZVPD

Each line ends with the Mulliken charge.
CARTESIAN COORDINATES (ANGSTROEM)
Cl 0.826 -5.729 4.051  -0.14
Cl 2.861 2.624 6.207  -0.15
Cl 0.752 2.896 4.286  -0.03
Cl 4.957 -2.068 0.896  0.01
Cl 2.577 -3.635 0.379  -0.04
Cl -0.741 0.320 2.166  0.40
Cl 0.411 -0.252 -0.506  1.01
Cl 4.733 -4.800 1.932  -0.14
Cl -2.070 -6.129 3.363  -0.16
Cl 4.165 -3.744 5.080  -0.09
Cl 3.068 -2.053 7.011  -0.12
Cl -0.096 -6.451 1.375  -0.13
Cl 3.523 2.807 3.382  -0.09
Cl 2.104 0.147 1.813  0.36
Cl 4.434 -0.850 4.604  -0.01
O -1.254 -3.961 -4.346  -0.42
O -3.080 2.902 -0.745  -0.43
O -0.684 -2.918 4.317  -0.16
O -0.904 -2.012 -3.433  0.40
O -7.469 3.970 -4.770  -0.50
O 3.580 -1.290 -5.730  -0.57
O 0.051 3.145 0.793  0.79
O 0.712 -1.350 4.974  0.08
O -5.639 3.572 -5.971  -0.39
O -0.140 5.151 1.644  -0.42
O -1.519 2.673 -2.364  -0.68
O -2.072 -2.107 -5.331  -0.61
O -1.656 3.581 2.201  -0.55